+++
Entry 1:
A plane-wave DFT calculation with PBE was carried out for crystalline AcSmPu2As4 at its relaxed geometry.

abc: 7.3531 4.2668 7.4009
angles: 90.00 109.50 90.00
With the nearest neighbours (Å) after each atom.
Positions (direct):
Ac (0.0000, 0.0000, 0.0000)  6 As 3.13
Sm (0.0000, 0.5000, 0.5000)  6 As 3.04-3.05
Pu (0.5000, 0.0000, 0.5000)  6 As 2.90
Pu (0.5000, 0.5000, 0.0000)  6 As 2.99
As (0.2646, 0.0000, 0.7458)  3 Pu 2.90-2.99, 2 Sm 3.05, 1 Ac 3.13
As (0.2714, 0.5000, 0.2666)  3 Pu 2.90-2.99, 1 Sm 3.04, 2 Ac 3.13
As (0.7286, 0.5000, 0.7334)  3 Pu 2.90-2.99, 1 Sm 3.04, 2 Ac 3.13
As (0.7354, 0.0000, 0.2542)  3 Pu 2.90-2.99, 2 Sm 3.05, 1 Ac 3.13

Results
- SG: P2/m, No. 10
- Formation energy from the elements: -1.2245 eV/atom

---

Entry 2:
A plane-wave DFT calculation with PBE was carried out for crystalline AcSm2PuAs4 at its relaxed geometry.

abc: 7.4186 4.2886 7.4266
angles: 90.00 109.42 90.00
With the nearest neighbours (Å) after each atom.
Positions (direct):
Ac (0.0000, 0.0000, 0.0000)  6 As 3.10-3.11
Sm (0.0000, 0.5000, 0.5000)  6 As 3.06
Sm (0.5000, 0.0000, 0.5000)  6 As 2.96
Pu (0.5000, 0.5000, 0.0000)  6 As 3.00
As (0.2610, 0.0000, 0.7489)  3 Sm 2.96-3.06, 2 Pu 3.00, 1 Ac 3.10
As (0.2644, 0.5000, 0.2599)  3 Sm 2.96-3.06, 1 Pu 3.00, 2 Ac 3.11
As (0.7356, 0.5000, 0.7401)  3 Sm 2.96-3.06, 1 Pu 3.00, 2 Ac 3.11
As (0.7390, 0.0000, 0.2511)  3 Sm 2.96-3.06, 2 Pu 3.00, 1 Ac 3.10

Results
- SG: P2/m, No. 10
- Formation energy from the elements: -1.3405 eV/atom

---

Entry 3:
A plane-wave DFT calculation with PBE was carried out for crystalline AcTbPu2As4 at its relaxed geometry.

abc: 7.3173 4.2518 7.3766
angles: 90.00 109.50 90.00
With the nearest neighbours (Å) after each atom.
Positions (direct):
Ac (0.0000, 0.0000, 0.0000)  6 As 3.11-3.12
Tb (0.0000, 0.5000, 0.5000)  6 As 3.01
Pu (0.5000, 0.0000, 0.5000)  6 As 2.89
Pu (0.5000, 0.5000, 0.0000)  6 As 2.99-3.00
As (0.2612, 0.0000, 0.7424)  3 Pu 2.89-2.99, 2 Tb 3.01, 1 Ac 3.11
As (0.2696, 0.5000, 0.2687)  3 Pu 2.89-3.00, 1 Tb 3.01, 2 Ac 3.12
As (0.7304, 0.5000, 0.7313)  3 Pu 2.89-3.00, 1 Tb 3.01, 2 Ac 3.12
As (0.7388, 0.0000, 0.2576)  3 Pu 2.89-2.99, 2 Tb 3.01, 1 Ac 3.11

Results
- SG: P2/m, No. 10
- Formation energy from the elements: -1.2195 eV/atom

---

Magnetization (computed, μB per formula unit): 9.9; 4.9; 9.9
Final energy (computed, eV/atom): -8.24; -7.15; -8.22


[1]
Below is a geometry-optimized ZrHgPd4 structure, with properties calculated at the PBE level.

Cell: 5.293 5.293 5.293 Å, 60.00 60.00 60.00°
Positions (direct):
Zr: 0.000 0.000 0.000
Hg: 0.750 0.750 0.750
Pd: 0.375 0.375 0.375
Pd: 0.375 0.375 0.875
Pd: 0.375 0.875 0.375
Pd: 0.875 0.375 0.375

Crystal system: cubic
Symmetry: F-43m, No. 216
Offset from the most stable computed form, eV/atom: 0.039

***

[2]
Below is a geometry-optimized Zr4Hg3Pd structure, with properties calculated at the PBE level.

Cell: 3.212 3.212 16.240 Å, 90.00 90.00 90.00°
Positions (direct):
Zr: 0.000 0.000 0.112
Zr: 0.000 0.000 0.371
Zr: 0.000 0.000 0.629
Zr: 0.000 0.000 0.888
Hg: 0.500 0.500 0.242
Hg: 0.500 0.500 0.500
Hg: 0.500 0.500 0.758
Pd: 0.500 0.500 0.000

Crystal system: tetragonal
Symmetry: P4/mmm, No. 123

***

[3]
Below is a geometry-optimized ZrHgPd14 structure, with properties calculated at the PBE level.

Cell: 5.706 5.706 7.871 Å, 90.00 90.00 90.00°
Positions (direct):
Zr: 0.000 0.000 0.000
Hg: 0.500 0.500 0.000
Pd: 0.000 0.000 0.500
Pd: 0.000 0.500 0.000
Pd: 0.000 0.500 0.500
Pd: 0.247 0.247 0.252
Pd: 0.247 0.247 0.748
Pd: 0.247 0.753 0.252
Pd: 0.247 0.753 0.748
Pd: 0.500 0.000 0.000
Pd: 0.500 0.000 0.500
Pd: 0.500 0.500 0.500
Pd: 0.753 0.247 0.252
Pd: 0.753 0.247 0.748
Pd: 0.753 0.753 0.252
Pd: 0.753 0.753 0.748

Crystal system: tetragonal
Symmetry: P4/mmm, No. 123

***

[4]
Below is a geometry-optimized ZrHg3Pd6 structure, with properties calculated at the PBE level.

Cell: 4.917 7.762 10.267 Å, 67.90 76.42 81.06°
Positions (direct):
Zr: 0.208 0.059 0.113
Zr: 0.792 0.941 0.887
Hg: 0.237 0.645 0.307
+++

Please search the block earlier on for the word "neighbours" and give back each line that has it.

With the nearest neighbours (Å) after each atom.
With the nearest neighbours (Å) after each atom.
With the nearest neighbours (Å) after each atom.